Chapter 92 - Showed off

Xu Yang sat in his bedroom for more than two hours, and kept replaying the case, but the doubts in his mind still had not been solved.

With the fall of the western suburbs murder case, sinful son also disappeared from Xu Yang's life, everything seems to go back to the previous.

Pick up the phone, stand up, walk to the photo wall, erase the name on the blackboard, take down the photos, organize the files and put them into the case, and then stand for a long time in front of the photo wall staring at Sinzi's name.

"Since you want to play, I will play with you, I will find you sooner or later."

After muttering some words to himself, Xu Yang walked out of the bedroom.

Although there were still many doubts in his heart, Xu Yang decided not to think about it for now.

Looking at the time, it was already after nine o'clock.

"Gu Gu Gu!"

His stomach grumbled, after running around all day without eating much, he was hungry, but Xu Yang didn't want to go out, so he casually ordered a takeaway.

While waiting for the takeaway to arrive, Xu Yang entered the bathroom and started washing up.

Only, when entering the bathroom, Xu Yang remembered what Wang Le said before, and he began to check the bathroom.

In the hidden corner of the bathroom, he found an old keyboard-style cell phone.

The phone was still charged, opened a flip, and did not find any useful clues, only found an audio in the folder, and after tapping it, an eerie voice rang out in the bathroom.

"Who are you?"

"Hoo-hoo-hoo!" The sound of the wind blowing.

"Who am I?"

"Creak!" The sound of a window being opened.

"Slap, slap, slap!" The sound of rain slapping against the window.

"Squeak!" The sound of fingernails scratching the door panel.

With the opening of this audio, Xu Yang seemed to go back to the time when he played the mirror game before.

However, this time Xu Yang did not feel fear, but rather some depression.

For his own intelligence, Xu Yang is very confident, and occasionally a little conceited, but who would have thought that as smart as he would actually be this small trick to deceive, but also scared.

If this gets out, Xu Yang will really be ashamed of himself.

Turning off the audio and placing the phone in the living room, Xu Yang entered the bathroom again and started washing up.

Just when Xu Yang entered the bathroom, a black cat appeared at the window, his eyes fell on the old phone, the cat's eyes showed anthropomorphic disgust and anger.

The black cat jumped down from the window and went straight to the living room.

"Zee zee zee!"

The phone, which was silent, suddenly emitted an eerie sound.


The black cat barked at the phone, then stretched out its front paws and gave it a swat.


A sound mixed with anger and panic, sounded from the phone, there is black and red blood oozing out, do not know if the beat too hard, resulting in the phone inside the parts are burned, or because of other, a gray mist curling up.

Seeing the gray mist, the black cat's whole body hair are erected, rushed to the gray mist and screamed, and then opened his mouth, a mouthful of gray mist will be swallowed.

Data records that have nothing to do with the article:
........
Molecular formula: C63H158N10O21
Method: DFT, ωB97M-V with the def2-TZVPD basis set

For the energy above the lowest of the compared OMol25 structures with the same formula, charge and spin, the calculation gives 14.928 eV. The calculation puts the total energy at -4621.72368 Eh. As for the orbital gap: 8.622 eV. The net charge is 0. The max |F| is 0.143 hartree/bohr.

XYZ file:
```
252
C63H158N10O21, DFT ωB97M-V with the def2-TZVPD basis set
C 1.49 -1.55 -0.39
C 0.37 -1.23 0.60
C 0.30 0.20 1.05
O -0.87 -1.41 -0.17
H 2.33 -1.43 0.30
H 1.52 -0.76 -1.13
H 1.43 -2.58 -0.74
H 0.24 -1.83 1.51
H 0.48 0.90 0.23
H 1.07 0.51 1.77
H -0.59 0.44 1.62
H -1.06 -0.57 -0.60
C 3.65 2.27 6.82
O 4.40 3.37 7.28
C 5.37 3.84 6.40
C 4.79 4.44 5.09
N 5.01 3.52 3.97
C 4.29 3.92 2.76
C 2.81 3.48 2.74
O 2.06 4.13 3.74
C 0.67 3.91 3.74
H 2.96 1.89 7.58
H 4.34 1.50 6.47
H 2.95 2.59 6.04
H 6.10 3.04 6.20
H 6.04 4.61 6.77
H 5.26 5.37 4.78
H 3.72 4.51 5.30
H 4.94 2.57 4.32
H 4.80 3.48 1.90
H 4.36 5.00 2.62
H 2.75 2.39 2.78
H 2.46 3.84 1.77
H 0.40 3.81 4.79
H 0.44 3.01 3.16
H 0.14 4.77 3.31
C -7.18 1.94 -7.65
O -5.90 1.91 -7.15
C -5.61 2.75 -6.04
C -4.47 2.34 -5.10
N -4.65 1.01 -4.48
C -4.41 0.99 -3.04
C -2.94 1.07 -2.59
O -2.72 1.52 -1.27
C -3.29 0.71 -0.28
H -7.42 2.93 -8.06
H -7.97 1.61 -6.96
H -7.33 1.31 -8.53
H -6.52 2.91 -5.44
H -5.37 3.71 -6.50
H -4.41 3.23 -4.46
H -3.56 2.23 -5.70
H -5.57 0.68 -4.75
H -4.93 0.15 -2.57
H -4.90 1.87 -2.61
H -2.39 1.71 -3.28
H -2.50 0.07 -2.67
H -4.23 1.13 0.11
H -2.62 0.70 0.59
H -3.44 -0.33 -0.56
C -3.00 1.17 3.90
O -4.29 0.55 3.87
C -4.91 0.80 5.13
C -6.36 0.28 5.10
N -7.23 1.26 4.43
C -8.64 0.77 4.55
C -9.61 1.76 3.90
O -9.71 2.92 4.70
C -10.52 3.93 4.15
H -2.41 0.72 4.71
H -3.16 2.23 4.07
H -2.43 0.88 3.02
H -4.96 1.88 5.31
H -4.38 0.30 5.94
H -6.56 -0.08 6.12
H -6.35 -0.63 4.51
H -7.34 2.00 5.13
H -8.95 0.54 5.58
H -8.74 -0.17 4.01
H -10.57 1.23 3.90
H -9.40 1.94 2.84
H -10.39 4.88 4.67
H -11.57 3.69 4.32
H -10.27 4.09 3.09
C -3.93 -0.05 7.16
O -3.07 -1.20 7.16
C -1.68 -0.94 7.21
C -1.17 -0.13 6.01
N -1.24 -0.83 4.74
C -0.44 -2.04 4.64
C -0.51 -2.49 3.15
O 0.23 -3.68 2.86
C -0.25 -4.86 3.50
H -3.65 0.69 6.41
H -3.93 0.36 8.17
H -4.92 -0.45 6.98
H -1.20 -1.92 7.16
H -1.48 -0.39 8.13
H -0.12 0.14 6.08
H -1.64 0.85 6.08
H -2.23 -1.01 4.58
H -0.88 -2.84 5.22
H 0.62 -1.79 4.74
H -0.21 -1.71 2.46
H -1.55 -2.75 2.92
H 0.06 -5.76 2.98
H -1.34 -4.95 3.54
H 0.14 -4.88 4.52
C -3.36 -4.02 -0.25
O -4.77 -4.10 -0.17
C -5.20 -4.36 1.16
C -6.65 -4.79 1.32
N -7.58 -3.67 1.38
C -7.69 -2.94 0.09
C -8.47 -1.66 0.34
O -7.93 -0.80 1.33
C -6.75 -0.16 0.95
H -2.83 -4.88 0.18
H -3.01 -3.17 0.35
H -3.11 -3.93 -1.30
H -4.90 -3.52 1.81
H -4.56 -5.15 1.58
H -6.70 -5.37 2.25
H -6.74 -5.58 0.57
H -7.33 -2.91 2.00
H -8.32 -3.43 -0.66
H -6.71 -2.74 -0.33
H -9.52 -1.89 0.52
H -8.53 -1.11 -0.61
H -6.51 0.72 1.55
H -6.63 0.26 -0.06
H -6.00 -0.95 1.09
C 8.50 -4.17 -4.90
O 8.57 -5.02 -3.76
C 7.49 -5.98 -3.64
C 7.39 -6.63 -2.22
N 6.42 -6.04 -1.28
C 6.50 -4.56 -1.23
........

The scream suddenly sounded, and then abruptly stopped.

After swallowing the gray mist, the black cat's stomach obviously bulged, and its spirit became depressed, it raised its head, looked at the bathroom, eyes flickering, and then turned to leave.

After the black cat left, the blood that seeped out quickly dried up and eventually turned into pieces, disappearing without a trace, leaving only a puddle of shallow traces on the table.

For everything that happened in the living room, Xu Yang did not have the slightest awareness.


"Knock, knock, knock!"

Xu Yang just walked out of the living room, he heard a knock on the door, he did not think much about it directly open the door, a delivery boy carrying a takeaway standing outside.

Received the takeaway, said thanks, returned to the living room, while eating, while reading WeChat.

The reason why Xu Yang thought the real culprit behind the hospital was Wang Qiang, thanks to the investigation of Brother Tuhao.

I do not know what means Brother Tuhao used, actually really found out the identity of the sinner, and told Xu Yang first.

The company's main business is to provide a wide range of products and services to the market.

Xu Yang: Thank you.

Qian Zenduo: small meaning, all the things that money can do, are not called things.

Xu Yang saw after some speechless, and some funny.

The earthy brother is always showing his financial power, Xu Yang is used to it.

When he first met the tycoon, Xu Yang actually did not have a good feeling about him, not hatred of the rich mentality, but Xu Yang felt that this guy is really stupid money, IQ worry, three words are not away from the money, it is a bit offensive.

But after a period of contact, Xu Yang found that the tycoon brother is not like he thought.

This guy is not stupid, but very smart, do not look at his crazy money in the live room, but a live down, he not only did not lose, but made a lot of money, for those who watch his live psychology, he is incomparably clear, know how to cut leeks, and also cut everyone think they have earned.

If you don't have some intelligence, you can't really do it.

The main broadcasters, UP owners are countless, once many follow the rise of the main broadcasters, either cool, or die out with the crowd, only Tuhao brother stand, many follow the wind to learn Tuhao brother of the main broadcasters and UP owners are not a few, but some operation down, the money did not earn, but also owed a fart - stock debt, can only end in disgrace.

Xu Yang: How did you find out about that guy?

This question, Xu Yang is really curious, you know, the police have not found the sinner, but the tycoon found.

Qian Zhenduo: My staff found it.


Xu Yang: It's that simple?

The company's employees have a few hackers under them, so I let them try, and I didn't expect them to find it after some tinkering.

Xu Yang: You have hackers under you?

Qian Zhenduo: who am I ah, recruit a few hackers as employees is very unexpected?

Across the screen, Xu Yang could feel the smugness of Brother Tuhao, who was shown a face again.

Xu Yang: Socially, I'm a dirtbag brother, dirtbag brother YYDS.

Money really much: Haha! Low profile! Be modest, hehehe!

Xu Yang looked at his phone, rolled his eyes, and spat in his heart, "Damn, he pretended to again."

However, the spit is spit, through this matter, Xu Yang once again realized that the earth brother is not simple, rich naturally needless to say, the energy is also very big, can dig out the hidden so deep sins, certainly not ordinary hackers can do.

This kind of person, actually working for Brother Tudor, that can be more than just money can do.

"Who the heck is this guy?"

Xu Yang began to be curious about the identity of Brother Tuohy.